Meet the Mom – Keily Herd and Lauren DeSantis

Keily Herd
Lauren DeSantis
Business: She’s Got An Eye, Interiors
_Crystal structures, as found in the file_
____________
A relaxed structure of DyTm2CoSn3Ir2. Source: OQMD via LeMat-Bulk, functional PBE-GGA.

Output
Crystal system ... orthorhombic
Space-group type ... No. 38
Total moment ... 0.0 μB per formula unit
DFT total energy ... -6.3507 eV per atom

The structure in CIF format:
```
data_DyTm2CoSn3Ir2
_cell_length_a 3.721
_cell_length_b 7.546
_cell_length_c 7.546
_cell_angle_alpha 120.21
_cell_angle_beta 90.00
_cell_angle_gamma 90.00
_space_group_name_H-M_alt 'P 1'
_space_group_IT_number 1
loop_
_space_group_symop_operation_xyz
'x,y,z'
loop_
_atom_site_label
_atom_site_type_symbol
_atom_site_fract_x
_atom_site_fract_y
_atom_site_fract_z
Dy1 Dy 0.000 0.000 0.000
Tm1 Tm 0.000 0.405 0.810
Tm2 Tm 0.000 0.810 0.405
Co1 Co 0.000 0.406 0.406
Sn1 Sn 0.500 0.151 0.406
Sn2 Sn 0.500 0.406 0.151
Sn3 Sn 0.500 0.659 0.659
Ir1 Ir 0.500 0.073 0.736
Ir2 Ir 0.500 0.736 0.073
```


A relaxed structure of LiTcO4. Source: OQMD via LeMat-Bulk, functional PBE-GGA.

Output
Crystal system ... orthorhombic
Space-group type ... No. 35
Total moment ... 0.0 μB per formula unit
Relative energy among the computed polymorphs ... 111 meV per atom

The structure in CIF format:
```
data_LiTcO4
_cell_length_a 4.460
_cell_length_b 4.460
_cell_length_c 3.465
_cell_angle_alpha 90.00
_cell_angle_beta 90.00
_cell_angle_gamma 97.17
_space_group_name_H-M_alt 'P 1'
_space_group_IT_number 1
loop_
_space_group_symop_operation_xyz
'x,y,z'
loop_
_atom_site_label
_atom_site_type_symbol
_atom_site_fract_x
_atom_site_fract_y
_atom_site_fract_z
Li1 Li 0.000 0.000 0.000
Tc1 Tc 0.500 0.500 0.677
O1 O 0.232 0.232 0.458
O2 O 0.292 0.708 0.975
O3 O 0.708 0.292 0.975
O4 O 0.768 0.768 0.458
```


A relaxed structure of AlTcNiPd. Source: OQMD via LeMat-Bulk, functional PBE-GGA.

Output
Crystal system ... cubic
Space-group type ... No. 216
Total moment ... 1.4 μB per formula unit
Relative energy among the computed polymorphs ... 0 meV per atom

The structure in CIF format:
```
data_AlTcNiPd
_cell_length_a 4.278
_cell_length_b 4.278
_cell_length_c 4.278
_cell_angle_alpha 60.00
_cell_angle_beta 60.00
_cell_angle_gamma 60.00
_space_group_name_H-M_alt 'P 1'
_space_group_IT_number 1
loop_
_space_group_symop_operation_xyz
'x,y,z'
loop_
_atom_site_label
_atom_site_type_symbol
_atom_site_fract_x
_atom_site_fract_y
_atom_site_fract_z
Al1 Al 0.000 0.000 0.000
Tc1 Tc 0.750 0.750 0.750
Ni1 Ni 0.250 0.250 0.250
Pd1 Pd 0.500 0.500 0.500
```
____________
Insta: @shesgotaneye
Where did you grow up?
Keily – I was born and raised overseas, and had the chance to live in all sorts of places across the globe before landing in California. We moved to Florida about 12 years ago and this is where our children were born.
Lauren – Right here in Wellington, FL.
What town do you live in now?
Keily & Lauren: Wellington! We live just a few houses down from each other in Aero Club.
Why do you love living in Wellington?
Keily & Lauren: So many reasons! It’s got a great social environment for both kids and adults to thrive and we love that it’s a close knit community with amenities that fit our lifestyle. This area has great schools and easy access to the beaches, entertainment, and airports. We find it to be safe, and have truly enjoyed raising our families here!
Tell me about your kids.
Lauren: I have three children, two boys and a girl. James (9), Jackson (6), and Avery (3). My boys are in 3rd grade and kindergarten and absolutely love school. When they’re not at school their favorite pastime is baseball, and both play in the Wellington baseball league.
My daughter is the youngest but we call her the boss. She has the boys wrapped around her finger. She is my girly girl. She loves to dance, play with dolls, Barbie’s, and dress up. All of my children enjoy the outdoors and being on the water boating, beach, tubing, jet skiing, and swimming.
Keily: My little ones are both nine years old. Lennon and Davis, are in 3rd grade and can be found at the beach or running after each other on a tennis court. They both have a passion for life in their own unique way. Lennon is definitely bound for Broadway, and we always joke that Davis is likely to end up traveling the world practicing yoga.
Their personalities are larger than life, they have hearts of gold, even though they are so similar, they are so different. I love watching twins grow up together and I am truly in awe of them.
Keily & Lauren: All five of our children are great friends, and spend a lot of time together. They ask almost weekly if we need to have a meeting just to get a playdate out of it!
What are your favorite things to do with the kids locally?
Keily & Lauren: There are so many fun things to do in and around Wellington, and that’s why we love it so much!
The Lion Country Safari is right in our backyard and the kids love to visit often, especially since the new waterslide area opened.
All of our kids love the beach, boogie boarding, and shell hunting.
We all adore going to our local pizza shop, The Sicilian Oven, and then following that up with a visit to Whits for ice cream.
We often visit Jolton Jr, the Pokémon card store, to trade and collect new Pokémon cards. (if you have a child that is into Pokemon it’s a must go!)
We have beautiful parks in Wellington that our children enjoy, and if there’s nothing else to do, the park is always our go-to.
And last, we love going to Food Truck Invasion and concerts at our local amphitheater.
What’s your “day job”? How did you get started with it?
Keily & Lauren:
We are the co-founders of She’s Got An Eye Interior Design, Styling, and Online Shop.
Our goal with SGAE was to provide a platform and outlet to serve individuals with varying budgets, and offer homeowners with smaller scale projects a place to turn.
She’s Got an Eye is the culmination of many years of personal and professional experience. Keily previously worked in real estate for five years before entering an Interior Design program and assisting a luxury interior design studio. Meanwhile, Lauren has a background in fashion merchandising and perfected her design skills through her own home renovations.
Before launching our own interior design business we spent decades being the go-to girls with “an eye” for paint colors, furniture selection, room layout, and more. We figured: Why not make this official? In fact, having an eye for these sorts of things is how we landed on our name. Both of us would always hear something like this, “You have such a good eye! Do you mind helping me with….” And then on we went. So it just seemed to fit.
Most importantly, we are close friends who share a love for creating beautiful, unique spaces.
You can find us at, or @shesgotaneye on instagram.
What is your best parenting advice? Lay it on us.
Lauren: Allow people to help you! I know I struggled with this when I first had my children. I struggled with others not doing things for them the way I would do it or wanted it done. But once I trusted in those around me and allowed them to help me it made our lives a lot easier and made us happier.
Scheduling is great. It’s very important for children to have a routine and schedule but it’s also ok to deviate from that schedule sometimes and be flexible. Don’t make yourself crazy if your child doesn’t nap exactly when they should one day. Because very soon they won’t nap anymore and you won’t even remember the days they didn’t!
Give yourself grace! No parent is perfect, we all have our moments!
Materials data that have nothing to do with the page:
Entry 1:
BaCeNiSe3 | PBE | relaxed

Calculated values
**Energy relative to the elements, uncorrected**: -1.5323 eV/atom
**M_tot**: 0.01 μB/atom

Unit cell a=4.166 b=7.346 c=10.754 alpha=90.00 beta=90.00 gamma=106.47
Last column: magnetic moment on the atom in μB.
Sites, in units of the cell vectors:
Se1 0.064 0.128 0.750  -0.02
Se2 0.365 0.731 0.570  -0.01
Se3 0.635 0.269 0.070  -0.01
Se4 0.936 0.872 0.250  -0.02
Se5 0.635 0.269 0.430  -0.01
Se6 0.365 0.731 0.930  -0.01
Ni1 0.530 0.059 0.250  -0.20
Ni2 0.470 0.941 0.750  -0.20
Ce1 0.000 0.000 0.000  0.29
Ce2 0.000 0.000 0.500  0.29
Ba1 0.257 0.515 0.250  0.00
Ba2 0.743 0.485 0.750  0.00


Entry 2:
Ba2V2Te | PBE | relaxed

Calculated values
**Energy relative to the elements, uncorrected**: 0.2092 eV/atom
**M_tot**: 0.00 μB/atom
**Energy above the most stable polymorph in this dataset**: 0.000 eV per formula unit

Unit cell a=8.191 b=8.191 c=4.748 alpha=90.00 beta=90.00 gamma=90.00
Sites, in units of the cell vectors:
Ba1 0.204 0.704 0.500
Ba2 0.296 0.204 0.500
Ba3 0.796 0.296 0.500
Ba4 0.704 0.796 0.500
Te1 0.500 0.500 0.000
Te2 0.000 0.000 0.000
V1 0.921 0.579 0.000
V2 0.579 0.079 0.000
V3 0.421 0.921 0.000
V4 0.079 0.421 0.000


Entry 3:
YErLuTh | PBE | relaxed

Calculated values
**Formation energy from the elements**: 123 meV/atom
**M_tot**: 0.00 μB/atom

Unit cell a=5.627 b=5.627 c=5.627 alpha=60.00 beta=60.00 gamma=60.00
Sites, in units of the cell vectors:
Y1 0.500 0.500 0.500
Th1 0.000 0.000 0.000
Er1 0.250 0.250 0.250
Lu1 0.750 0.750 0.750


Entry 4:
NaPd4Pb8 | PBE | relaxed

Calculated values
**Formation energy from the elements**: -110 meV/atom
**M_tot**: 0.00 μB/atom

Unit cell a=6.174 b=7.893 c=7.893 alpha=81.20 beta=66.98 gamma=66.98
Sites, in units of the cell vectors:
Pd1 0.500 0.500 0.000
Pd2 0.000 0.500 0.000
Pd3 0.000 0.000 0.500
Pd4 0.500 0.000 0.500
Pb1 0.334 0.666 0.666
Pb2 0.718 0.782 0.782
Pb3 0.000 0.666 0.334
Pb4 0.500 0.782 0.218
Pb5 0.000 0.334 0.666
Pb6 0.282 0.218 0.218
Pb7 0.500 0.218 0.782
Pb8 0.666 0.334 0.334
Na1 0.000 0.000 0.000


What is the formula in the fourth record? NaPd4Pb8

* * * * *

Material: Ca5GeSe6
Method: DFT, PBE
State: optimized geometry

Summary:
Raw formation energy in meV per atom: -1706
Total energy in eV/atom: -4.667
Total moment in μB per cell: 0.00

a = 7.259 Å, b = 7.261 Å, c = 7.261 Å
α = 60.00°, β = 80.40°, γ = 70.51°
Positions (direct):
Ca: 0.500 0.166 0.668
Ca: 0.000 0.333 0.334
Ca: 0.500 0.500 0.000
Ca: 0.000 0.667 0.666
Ca: 0.500 0.834 0.332
Ge: 0.000 0.000 0.000
Se: 0.753 0.082 0.327
Se: 0.247 0.590 0.327
Se: 0.246 0.246 0.000
Se: 0.754 0.754 0.000
Se: 0.753 0.410 0.673
Se: 0.247 0.918 0.673

=====

Material: SrY2Sb
Method: DFT, PBE
State: optimized geometry

Summary:
Raw formation energy in meV per atom: -233
Total energy in eV/atom: -4.917
Total moment in μB per cell: 0.00

a = 6.776 Å, b = 6.776 Å, c = 3.542 Å
α = 76.14°, β = 76.14°, γ = 117.64°
Positions (direct):
Sb: 0.500 0.000 0.500
Sr: 0.000 0.500 0.500
Y: 0.000 0.000 0.000
Keily: Find a good group of supportive moms, put yourself out there, go to the playdate, the mommy and me classes, anything. Momming can be hard and lonely, so make sure you’re not doing it alone!
Know when to hire out. We had no family or friends support here when the kids came and no other friends with kids. So knowing when to hire someone to come help with the house, or sleep train (Thank GOD for the Cradle Coach) or a night nurse. Whatever works for your set up, let go of the guilt and hire out.
Respect yourself and others and know your boundaries. I found this early on to be a game changer. I was big into a set schedule… Like, crazy town. It was the way things worked best for me, having a husband that traveled, no family, and twins.
But it wasn’t the way things worked for other families, so just understanding that my way wasn’t the best way, and their way wasn’t the best way but that we were all in this together doing what we felt we needed to do in our eyes for our families.
What do you do for self care?
Lauren: I love a good facial, working out regularly, and parent nights out!
Keily: This is an area of opportunity for me, I would say my luxury time is listening to a good audio book (I am in the car a lot). Any good skincare tips send them my way!
Karaoke – What are you singing?
Lauren: Last Dance by Donna summers
Keily: Absolutely, Jessie’s Girl by Rick Springfield
Anything else you want to share?
We love being a part of this amazing network with other mothers. The art of balancing it all can be messy, yet so important for all of us to be doing things we love and have a passion for. So, thanks for the support, and we are truly excited to support each of you along the journey as well.